Now type out all of the contents further below verbatim.
+++
Formula: C3H5NO
Source: the OMol25 dataset
Level of theory: the ωB97M-V functional and the def2-TZVPD basis

The geometry in XYZ format:
```
10
Properties=species:S:1:pos:R:3
C -0.5253 -0.4210 -0.1204
C 0.4124 0.5794 -0.1486
C 1.9138 0.2846 0.0145
H -2.4849 -1.0940 0.7278
H -2.3660 0.6377 0.1455
H -0.2272 -1.5218 -0.1668
H 0.1209 1.5987 -0.1935
H 2.6361 1.0642 0.0990
N -1.8546 -0.2745 -0.2231
O 2.3749 -0.8532 -0.1344
```

E_LUMO ... -0.094 eV
Frontier orbital gap ... 0.322 hartree
ΔE to the lowest compared entry with this formula, charge and spin ... 2.985 eV
Highest occupied orbital energy ... -0.3256 Eh

Löwdin population analysis, charges in e, atoms 1 to 4:
1. C -0.30
2. C -0.07
3. C -0.24
4. H 0.25

Formula: C10H10BBrF4Ti
Source: the OMol25 dataset
Level of theory: the ωB97M-V functional and the def2-TZVPD basis

The geometry in XYZ format:
```
27
Properties=species:S:1:pos:R:3
C -1.7535 -0.8100 -0.4066
C -1.4041 -1.3091 0.9205
C -1.4494 -0.2280 1.8397
H -1.3084 -2.3141 1.3315
C -1.6420 0.9756 1.0688
C -1.8545 0.6036 -0.3103
H -2.1071 1.3294 -1.0988
H -1.9954 -1.5004 -1.2509
H -1.6510 -0.3754 2.8956
H -1.6840 1.9232 1.6066
Ti 0.3372 -0.1752 0.6077
Br 1.1924 -2.3396 0.0096
C 2.1438 0.6995 -2.0274
C 1.1217 1.4922 -2.5984
C 0.1198 0.6116 -3.1257
H 1.1181 2.5820 -2.6878
C 0.5319 -0.7101 -2.8805
C 1.8196 -0.6640 -2.2595
H 2.4897 -1.5041 -2.0844
H 3.0588 1.0398 -1.5461
H -0.7696 0.9139 -3.6916
H -0.0030 -1.6208 -3.1443
F 1.1794 0.9294 1.8285
B 0.6230 0.1211 4.2295
F -0.1875 1.1810 4.3652
F 0.2307 -1.0263 3.6750
F 1.8432 0.1747 4.7341
```

Net charge ... -2
⟨S²⟩ ... 2.005
Spin multiplicity ... 3
E_LUMO (alpha / beta) ... 4.917 / 4.908 eV
Frontier orbital gap (alpha / beta) ... 0.125 / 0.158 hartree
ΔE to the lowest compared entry with this formula, charge and spin ... 1.273 eV
Highest occupied orbital energy (alpha / beta) ... 0.0559 / 0.0223 Eh

Löwdin population analysis, charges in e, atoms 1 to 4:
1. C -0.20
2. C -0.39
3. C -0.30
4. H 0.07

Formula: C22H16Br2INO2PdS
Source: the OMol25 dataset
Level of theory: the ωB97M-V functional and the def2-TZVPD basis

The geometry in XYZ format:
```
46
Properties=species:S:1:pos:R:3
Pd -0.1987 -0.5438 -0.9974
Br -2.4935 -3.1038 2.7969
C -2.7071 -1.3188 2.2312
C -3.6139 -0.4940 2.9008
C -3.7869 0.8146 2.5342
Br -5.0237 1.8868 3.4912
C -3.0495 1.3575 1.4619
C -3.1194 2.6988 1.0230
C -2.3403 3.1232 -0.0139
C -1.4885 2.2086 -0.6527
N -1.4113 0.9532 -0.2793
C -2.1514 0.5023 0.7835
C -1.9353 -0.8686 1.1615
O -1.0798 -1.5903 0.5305
H -4.1812 -0.9029 3.7253
H -3.7920 3.3813 1.5244
H -2.3687 4.1480 -0.3554
H -0.8703 2.5101 -1.4871
I -0.1272 -1.4563 -3.8690
C 0.3116 0.3003 -2.7046
H -0.3557 1.0758 -3.0729
H 1.3554 0.5524 -2.8788
O 1.3213 -0.1991 2.1136
S 2.2654 0.6726 1.3824
C 3.8884 0.4061 2.1126
C 4.0672 -0.7016 2.9235
C 5.3117 -0.9170 3.4973
C 6.3523 -0.0284 3.2610
C 6.1529 1.0873 2.4586
C 4.9105 1.3139 1.8851
C 2.6444 -0.1603 -0.1810
C 3.4010 0.5098 -1.1317
C 3.7704 -0.1498 -2.2936
C 3.3757 -1.4647 -2.5063
C 2.6054 -2.1220 -1.5609
C 2.2213 -1.4750 -0.3879
H 3.2290 -1.3635 3.1036
H 5.4679 -1.7776 4.1344
H 7.3203 -0.1989 3.7136
H 6.9612 1.7866 2.2897
H 4.7388 2.1920 1.2735
H 3.7052 1.5358 -0.9611
H 4.3677 0.3622 -3.0373
H 3.6616 -1.9745 -3.4168
H 2.2897 -3.1420 -1.7337
H 1.6519 -1.9815 0.3868
```

E_LUMO ... -0.332 eV
Frontier orbital gap ... 0.257 hartree
ΔE to the lowest compared entry with this formula, charge and spin ... 0.499 eV
Highest occupied orbital energy ... -0.2696 Eh

Löwdin population analysis, charges in e, atoms 1 to 4:
1. Pd 0.78
2. Br 0.78
3. C -0.61
4. C -0.17

Formula: C6H14ClEuI2NO3P
Source: the OMol25 dataset
Level of theory: the ωB97M-V functional and the def2-TZVPD basis

The geometry in XYZ format:
```
29
Properties=species:S:1:pos:R:3
I -1.5670 -2.2688 -0.8473
I -1.1987 2.0672 -0.7297
Eu 0.7163 -0.3879 0.7307
P -0.0093 0.1276 -2.5748
C -1.6358 0.0778 -3.4327
C 0.8082 1.4817 -3.5047
H 1.8055 -1.4282 -2.9640
H 0.8694 -1.0767 -4.4629
H 0.2349 -2.2313 -3.2266
+++
Formula: C3H5NO
Source: the OMol25 dataset
Level of theory: the ωB97M-V functional and the def2-TZVPD basis

The geometry in XYZ format:
```
10
Properties=species:S:1:pos:R:3
C -0.5253 -0.4210 -0.1204
C 0.4124 0.5794 -0.1486
C 1.9138 0.2846 0.0145
H -2.4849 -1.0940 0.7278
H -2.3660 0.6377 0.1455
H -0.2272 -1.5218 -0.1668
H 0.1209 1.5987 -0.1935
H 2.6361 1.0642 0.0990
N -1.8546 -0.2745 -0.2231
O 2.3749 -0.8532 -0.1344
```

E_LUMO ... -0.094 eV
Frontier orbital gap ... 0.322 hartree
ΔE to the lowest compared entry with this formula, charge and spin ... 2.985 eV
Highest occupied orbital energy ... -0.3256 Eh

Löwdin population analysis, charges in e, atoms 1 to 4:
1. C -0.30
2. C -0.07
3. C -0.24
4. H 0.25

Formula: C10H10BBrF4Ti
Source: the OMol25 dataset
Level of theory: the ωB97M-V functional and the def2-TZVPD basis

The geometry in XYZ format:
```
27
Properties=species:S:1:pos:R:3
C -1.7535 -0.8100 -0.4066
C -1.4041 -1.3091 0.9205
C -1.4494 -0.2280 1.8397
H -1.3084 -2.3141 1.3315
C -1.6420 0.9756 1.0688
C -1.8545 0.6036 -0.3103
H -2.1071 1.3294 -1.0988
H -1.9954 -1.5004 -1.2509
H -1.6510 -0.3754 2.8956
H -1.6840 1.9232 1.6066
Ti 0.3372 -0.1752 0.6077
Br 1.1924 -2.3396 0.0096
C 2.1438 0.6995 -2.0274
C 1.1217 1.4922 -2.5984
C 0.1198 0.6116 -3.1257
H 1.1181 2.5820 -2.6878
C 0.5319 -0.7101 -2.8805
C 1.8196 -0.6640 -2.2595
H 2.4897 -1.5041 -2.0844
H 3.0588 1.0398 -1.5461
H -0.7696 0.9139 -3.6916
H -0.0030 -1.6208 -3.1443
F 1.1794 0.9294 1.8285
B 0.6230 0.1211 4.2295
F -0.1875 1.1810 4.3652
F 0.2307 -1.0263 3.6750
F 1.8432 0.1747 4.7341
```

Net charge ... -2
⟨S²⟩ ... 2.005
Spin multiplicity ... 3
E_LUMO (alpha / beta) ... 4.917 / 4.908 eV
Frontier orbital gap (alpha / beta) ... 0.125 / 0.158 hartree
ΔE to the lowest compared entry with this formula, charge and spin ... 1.273 eV
Highest occupied orbital energy (alpha / beta) ... 0.0559 / 0.0223 Eh

Löwdin population analysis, charges in e, atoms 1 to 4:
1. C -0.20
2. C -0.39
3. C -0.30
4. H 0.07

Formula: C22H16Br2INO2PdS
Source: the OMol25 dataset
Level of theory: the ωB97M-V functional and the def2-TZVPD basis

The geometry in XYZ format:
```
46
Properties=species:S:1:pos:R:3
Pd -0.1987 -0.5438 -0.9974
Br -2.4935 -3.1038 2.7969
C -2.7071 -1.3188 2.2312
C -3.6139 -0.4940 2.9008
C -3.7869 0.8146 2.5342
Br -5.0237 1.8868 3.4912
C -3.0495 1.3575 1.4619
C -3.1194 2.6988 1.0230
C -2.3403 3.1232 -0.0139
C -1.4885 2.2086 -0.6527
N -1.4113 0.9532 -0.2793
C -2.1514 0.5023 0.7835
C -1.9353 -0.8686 1.1615
O -1.0798 -1.5903 0.5305
H -4.1812 -0.9029 3.7253
H -3.7920 3.3813 1.5244
H -2.3687 4.1480 -0.3554
H -0.8703 2.5101 -1.4871
I -0.1272 -1.4563 -3.8690
C 0.3116 0.3003 -2.7046
H -0.3557 1.0758 -3.0729
H 1.3554 0.5524 -2.8788
O 1.3213 -0.1991 2.1136
S 2.2654 0.6726 1.3824
C 3.8884 0.4061 2.1126
C 4.0672 -0.7016 2.9235
C 5.3117 -0.9170 3.4973
C 6.3523 -0.0284 3.2610
C 6.1529 1.0873 2.4586
C 4.9105 1.3139 1.8851
C 2.6444 -0.1603 -0.1810
C 3.4010 0.5098 -1.1317
C 3.7704 -0.1498 -2.2936
C 3.3757 -1.4647 -2.5063
C 2.6054 -2.1220 -1.5609
C 2.2213 -1.4750 -0.3879
H 3.2290 -1.3635 3.1036
H 5.4679 -1.7776 4.1344
H 7.3203 -0.1989 3.7136
H 6.9612 1.7866 2.2897
H 4.7388 2.1920 1.2735
H 3.7052 1.5358 -0.9611
H 4.3677 0.3622 -3.0373
H 3.6616 -1.9745 -3.4168
H 2.2897 -3.1420 -1.7337
H 1.6519 -1.9815 0.3868
```

E_LUMO ... -0.332 eV
Frontier orbital gap ... 0.257 hartree
ΔE to the lowest compared entry with this formula, charge and spin ... 0.499 eV
Highest occupied orbital energy ... -0.2696 Eh

Löwdin population analysis, charges in e, atoms 1 to 4:
1. Pd 0.78
2. Br 0.78
3. C -0.61
4. C -0.17

Formula: C6H14ClEuI2NO3P
Source: the OMol25 dataset
Level of theory: the ωB97M-V functional and the def2-TZVPD basis

The geometry in XYZ format:
```
29
Properties=species:S:1:pos:R:3
I -1.5670 -2.2688 -0.8473
I -1.1987 2.0672 -0.7297
Eu 0.7163 -0.3879 0.7307
P -0.0093 0.1276 -2.5748
C -1.6358 0.0778 -3.4327
C 0.8082 1.4817 -3.5047
H 1.8055 -1.4282 -2.9640
H 0.8694 -1.0767 -4.4629
H 0.2349 -2.2313 -3.2266